860F.00/9–947: Telegram

The Chargé in Czechoslovakia (Yost) to the Secretary of State


1204. Sharp evolution has occurred in Czech Communist Party strategy and hence in Czech political situation during past week. As reported Embtel 1187 and 1189, Sept. 51 heat has very suddenly been turned off Slovak Democrats and turned on Czech moderate parties particularly National Socialists. Communist close to party leaders has informed member of Embassy staff that Communists have been obliged by united opposition of other members of National Front to shelve program of liquidating Slovak Democrats and will be satisfied now with purge of few of most objectionable leaders of that party. Embassy inclined to feel, however, that primary reason for shift in strategy may be decision that enemy number one is leadership of National Socialist Party and chief energies must be concentrated on its elimination or neutralization. This does not mean, of course, that Slovak campaign will cease to play appropriate part in overall Communist strategy.

Controversy over “levy on millionaires” reported Embtel 1187 has produced unprecedented inter-party bitterness and may conceivably presage disintegration of National Front. As reported, Communists pilloried publicly ministers who opposed levy and Communist press and leaders have continued denunciations. For instances, chief editor of Rude Pravo2 writes that “other two Socialist parties” have thrown to winds obligations assumed at time of formation “Socialist bloc” by Communist, National Socialist and Social Democratic parties on June 8, 1945 and that “defeated, discredited and economically emasculated forces of reaction” are influencing to large extent policies of non-Communist parties and sabotaging reconstruction of country. Editor concludes that there are only two alternatives: “loyal cooperation with the Communists for the good of the people and the country or an anti-Communist alliance with reaction”. In the same vein Communist Minister of Information Kopecky privately told Social Democratic informant of Embassy “You have only two alternatives now—either you swallow any suggestions we put forward now or you will have elections within the next three weeks”. On another tack Communist Party Secretary Slansky at Congress of Moravian Partisans declared that to be “adherents of western reactionary circles” is “high [Page 230] treason”, that such adherents still exist in Czech Army and that they must be purged.

Non-Communist parties, particularly National Socialists and Social Democrats are reacting with extraordinary bitterness. Secretariat of National Socialists has published manifesto headed “against Communo-Fascist demagogy” stating that “reactionary elements” have penetrated into Communist Party and are misusing millionaire levy proposal “to carry out irresponsible and demagogic agitation in factories and national committees”. Manifesto demands that Communists accept will of majority and declares “a politically educated nation will never submit to Communo-Fascist trap”. Zenkl in public speech took a similar though milder line and declared if Communists want premature elections National Socialists are ready.

Position of Social Democrats particularly interesting since millionaire levy issue has separated them from Communists and strengthened right and center influence in party. Minister of Industry Lausman submitted to party presidium his resignation from Cabinet, citing reason as continuous partisan political disturbances and useless strikes in nationalized industry, though Embassy understands Communist denunciation and his vote on millionaire levy also played part in resignation offer. Resignation not accepted by party presidium but nevertheless widely publicized. Party Secretariat and press are denouncing Communist tactics and terror and appealing to workers not to be led astray.

As Department will of course note, degree of present party strife considerably outstrips previous domestic political agitation in Czecho since liberation. It possible Communists may be merely attempting to intimidate opposition into joining Communist-dominated “Socialist bloc”. If so, they would appear to have miscalculated temper of opponents to an extent which hardly seems plausible. It also possible Communists may be setting stage for early elections either to National Committee or conceivably to National Assembly on theory that elections would be more likely to go in their favor this fall than next spring. Finally it possible that Communists may be laying groundwork for drastic action along line suggested concluding paragraph Embtel 904, July 15 in case increasing international tension should persuade Kremlin that Communist control of Czecho must be radically strengthened.

At all events non-Communist parties are so far exhibiting admirable firmness. Outcome of struggle between right and left wings of Social Democratic Party which will presumably be determined at Party [Page 231] Congress now scheduled for mid-November may well prove decisive as far as lineup in government and Parliament is concerned. Vital question remains, however, whether political developments in Czecho can and will be held within bounds of normal party and Parliamentary activity.

Someone pasted records of molecules at this point =
+++
Record 1
7
Properties=species:S:1:pos:R:3:lowdin_charge:R:1 method="wB97M-V/def2-TZVPD" gap_ev="6.058 / 8.325" homo_ev="-5.36 / -11.31" multiplicity=3 total_charge=0 mol_weight_g_mol=74.04 s2=2.01
C 1.729 -0.068 0.146 -0.599
N 0.980 1.047 0.192 0.183
N 0.494 -0.191 0.814 0.034
O 2.720 -0.604 -0.187 0.162
O -0.433 -0.867 -0.015 -0.064
H 0.517 1.433 -0.623 0.119
H -1.145 -1.325 0.630 0.166



Record 2
8
Properties=species:S:1:pos:R:3:lowdin_charge:R:1 method="wB97M-V/def2-TZVPD" gap_ev=9.490 smiles="N=C=S.O=NO" homo_ev=-9.46 total_charge=0 mol_weight_g_mol=106.11
N 0.123 -2.452 0.582 0.133
C -0.739 -1.756 1.029 -0.926
S -2.043 -1.130 1.590 0.691
H 1.066 -2.331 0.277 0.077
O 1.132 0.456 -0.079 0.025
N 0.042 0.924 -0.021 -0.117
O -0.033 2.221 -0.482 0.012
H -0.957 2.501 -0.389 0.105



Record 3
8
Properties=species:S:1:pos:R:3:lowdin_charge:R:1 method="wB97M-V/def2-TZVPD" gap_ev=9.017 smiles="NC(=S)n1oo1" homo_ev=-9.16 total_charge=0 mol_weight_g_mol=106.11
N -0.051 -0.011 -0.280 0.079
C -0.611 -0.292 -1.459 -0.949
S 0.210 -0.687 -2.785 0.705
N -2.077 -0.540 -1.483 -0.047
O -2.586 0.085 -0.401 -0.061
O -2.704 0.744 -1.615 0.018
H -0.665 0.707 0.258 0.153
H 0.929 0.154 -0.139 0.102
+++

  1. Neither printed. In telegram 1187, it was reported that the Communists had proposed a heavy capital tax against “millionaires”, the proceeds from which would be used for subsidies to farmers. Communist propaganda had been directed against those who opposed the tax who were depicted as protectors of speculators and big businessmen (860F.00/9–547).
  2. The newspaper of the Czechoslovak Communist Party.